**Listing**
********
Structure and theoretical powder diffractogram of KLaMg14 (a PBE-relaxed structure; Cu Kα (weighted mean of Kα1 and Kα2)).
No peak broadening, texture or thermal motion is included.

Cell and atoms:
```
data_KLaMg14
_chemical_formula_sum 'K1 La1 Mg14'
_cell_length_a 6.7803
_cell_length_b 6.7803
_cell_length_c 10.4900
_cell_angle_alpha 90.00
_cell_angle_beta 90.00
_cell_angle_gamma 120.00
_symmetry_space_group_name_H-M 'P -6 m 2'
_symmetry_Int_Tables_number 187
_symmetry_space_group_name_Hall 'P -6 2'
loop_
_atom_site_label
_atom_site_type_symbol
_atom_site_fract_x
_atom_site_fract_y
_atom_site_fract_z
K1 K 0.0000 0.0000 0.0000
La1 La 0.0000 0.0000 0.5000
Mg1 Mg 0.0038 0.5019 0.0000
Mg2 Mg 0.0067 0.5033 0.5000
Mg3 Mg 0.1732 0.3464 0.2522
Mg4 Mg 0.6667 0.3333 0.2515
```

The 10 most intense peaks (10 to 80 degrees two-theta), in order of rising 2θ:
2θ (°)	intensity
15.1	25
17.3	23
22.7	25
30.4	28
34.2	23
35.0	100
46.4	18
54.1	23
61.8	18
65.6	19
********

**Request**
Please start at the top of the data earlier on and repeat each line, ending with the one that has "17.3".

**Completed**
Structure and theoretical powder diffractogram of KLaMg14 (a PBE-relaxed structure; Cu Kα (weighted mean of Kα1 and Kα2)).
No peak broadening, texture or thermal motion is included.

Cell and atoms:
```
data_KLaMg14
_chemical_formula_sum 'K1 La1 Mg14'
_cell_length_a 6.7803
_cell_length_b 6.7803
_cell_length_c 10.4900
_cell_angle_alpha 90.00
_cell_angle_beta 90.00
_cell_angle_gamma 120.00
_symmetry_space_group_name_H-M 'P -6 m 2'
_symmetry_Int_Tables_number 187
_symmetry_space_group_name_Hall 'P -6 2'
loop_
_atom_site_label
_atom_site_type_symbol
_atom_site_fract_x
_atom_site_fract_y
_atom_site_fract_z
K1 K 0.0000 0.0000 0.0000
La1 La 0.0000 0.0000 0.5000
Mg1 Mg 0.0038 0.5019 0.0000
Mg2 Mg 0.0067 0.5033 0.5000
Mg3 Mg 0.1732 0.3464 0.2522
Mg4 Mg 0.6667 0.3333 0.2515
```

The 10 most intense peaks (10 to 80 degrees two-theta), in order of rising 2θ:
2θ (°)	intensity
15.1	25
17.3	23